Generate Blogging and Article Ideas with Checklists

Checklists are a great way to help you generate ideas for your blog posts or articles when they make you think in creative ways. Using a checklist for writing topics can stimulate your brain to look at ideas from different angles resulting in massive idea generation.

This comes in handy when you need to come up with topics for your blogs or other articles. How many times have you walked away from a writing task because you couldn’t come up with an idea? You hear that ideas are everywhere but learning to generate original ideas are your golden ticket to success.

Here are a series of questions to put on your creativity checklist to develop blog and article topics. Use these questions to analyze ideas then generate a list of topics to keep you writing for a long time.

  • What are common ways others write about this idea?
  • How can I adapt or modify the idea to present it from a different angle?
  • Can I create a compare and contrast list about the topic?
  • What additional topics does this one brings to mind? 
  • How could I put a new twist on this idea? 
  • Can I add another dimension to the writing such as clip art, a diagram, or a table to present data or facts?
  • What could I add to create a new way of thinking about this topic?
  • How could I address a different target reader for this idea?
  • How can I use the perspective of the target market to restructure this idea?
  • Could I present the idea in an altogether different form or format such as a video, PowerPoint, audio, etc.?

_Data records, as found in the file_
[1]
The following is a quantum chemistry calculation of a structure of composition C52H44AsF8N4O3OsS, from the Open Molecules 2025 dataset.

Structure (ORCA input):
```
! wB97M-V def2-TZVPD RIJCOSX def2/J DEFGRID3
* xyz 1 1
Os -0.38228 1.56510 -0.90325
C 1.28236 -5.09076 -3.53029
C 0.68257 -3.71301 -3.56872
C -0.70006 -3.53971 -3.47243
C -1.26157 -2.27813 -3.50480
C -0.42826 -1.16860 -3.62172
C 0.93986 -1.31767 -3.77213
C 1.48518 -2.59160 -3.74863
S -1.13299 0.42797 -3.47935
O -2.16675 0.60575 -4.44450
O -0.02763 1.39244 -3.39755
N -1.66899 0.51547 -1.94943
C -2.97780 0.38236 -1.47688
C -4.05138 -0.21467 -2.07259
C -5.29056 -0.24268 -1.39711
C -5.44510 0.33583 -0.17007
C -4.34781 0.98395 0.44676
C -4.44692 1.69192 1.66232
C -3.35497 2.34990 2.14257
C -2.14077 2.27165 1.44338
N -1.99018 1.58966 0.32603
C -3.10687 0.97403 -0.20471
H 0.69657 -5.75738 -2.89767
H 2.30558 -5.06443 -3.15738
H 1.30785 -5.52173 -4.53364
H -1.34097 -4.40756 -3.36999
H -2.33593 -2.15714 -3.43567
H 1.56618 -0.44852 -3.90783
H 2.55652 -2.71187 -3.85758
H -3.97252 -0.61950 -3.07163
H -6.13388 -0.71762 -1.88026
H -6.40442 0.33728 0.33010
H -5.39664 1.72955 2.18177
H -3.39844 2.93649 3.04859
H -1.27790 2.77528 1.83376
F 4.46561 6.14850 1.37382
C 3.17848 6.22134 1.73442
F 2.68940 7.37866 1.27874
F 3.12131 6.24041 3.06895
C 2.40631 5.05468 1.15859
C 2.35127 4.89472 -0.21452
C 1.64091 3.82861 -0.72372
N 1.00428 2.94550 0.05879
C 1.07645 3.10602 1.38604
C 1.76590 4.14390 1.97762
H 2.84280 5.58550 -0.88543
H 1.54826 3.68603 -1.79007
H 0.61411 2.33895 1.98768
H 1.80481 4.22689 3.05406
C 0.03313 -7.08355 0.40880
C -0.00074 -5.59920 0.64450
C 0.97766 -4.96291 1.38992
C 0.97375 -3.58752 1.61675
C 2.08462 -3.06166 2.49369
C -0.04669 -2.80330 1.04671
As -0.29532 -0.84917 1.19704
N 0.60080 0.02382 -0.29771
C 1.87563 -0.29004 -0.83628
C 2.52917 0.63231 -1.66080
C 3.81831 0.39741 -2.10393
C 4.47444 -0.77647 -1.75188
C 3.80768 -1.72592 -0.99220
C 2.51667 -1.48984 -0.54524
C 0.63791 -0.40898 2.87261
C 1.86442 0.22069 3.11703
C 2.84751 0.64423 2.05556
C 2.27918 0.40841 4.43627
C 1.53425 -0.01811 5.52147
C 2.03979 0.12133 6.93082
C 0.30043 -0.60234 5.26148
C -0.16973 -0.78946 3.97008
C -1.53980 -1.41191 3.81126
C -1.06499 -3.44337 0.31028
C -2.22621 -2.69486 -0.29018
C -1.02778 -4.81886 0.12975
H 0.95278 -7.52621 0.78792
H -0.04511 -7.31236 -0.65525
H -0.80734 -7.57202 0.90530
H 1.78468 -5.55245 1.81231
H 2.93735 -3.73984 2.45366
H 1.75666 -3.00447 3.53457
H 2.42587 -2.07171 2.20954
H 2.02189 1.53423 -1.98204
H 4.31396 1.13250 -2.72510
H 5.49049 -0.95132 -2.08028
H 4.29476 -2.65896 -0.73764
H 1.99103 -2.24942 0.00945
H 2.38236 0.87238 1.10581
H 3.58336 -0.14443 1.87387
H 3.39792 1.52634 2.38685
H 3.23390 0.89539 4.60965
H 2.96046 0.70128 6.96769
H 2.24394 -0.86163 7.35888
H 1.30048 0.60520 7.57033
H -0.32106 -0.92050 6.09243
H -2.00694 -1.53426 4.78673
H -1.49154 -2.39865 3.34352
H -2.19834 -0.79279 3.19674
H -2.86237 -2.24632 0.47726
H -2.84023 -3.36628 -0.89027
H -1.88163 -1.89371 -0.93947

Give your brain time to generate ideas as you review your list. Ideas may not come to mind until you are out on a walk, or having a relaxing dinner with a friend, so keep a notebook handy where can jot down the ideas or speak the idea into the noes o your phone.

Here the entry breaks off for molecular data.
'''
{
  "formula": "C50H42GeP2S2V",
  "method": "ωB97M-V/def2-TZVPD",
  "symbols": ["V", "S", "P", "C", "P", "S", "C", "C", "C", "C", "C", "C", "C", "C", "C", "C", "C", "C", "C", "C", "C", "C", "C", "C", "C", "C", "C", "C", "C", "C", "H", "H", "H", "H", "H", "H", "H", "H", "H", "H", "H", "H", "H", "H", "H", "H", "H", "H", "H", "H", "C", "C", "C", "C", "C", "C", "H", "H", "H", "H", "H", "H", "C", "Ge", "C", "C", "C", "C", "C", "C", "C", "C", "C", "C", "C", "C", "C", "C", "C", "C", "C", "C", "H", "H", "H", "H", "H", "H", "H", "H", "H", "H", "H", "H", "H", "H", "H", "H"],
'''

Before you finish the process, unleash several new thoughts and ideas by asking yourself, “what else?” Create checklists that fit your specific problems or situations, then analyze how effective it is based on how many new ideas it helps you to generate.

Once you have a checklist, use it, evaluate it, and revise it, so that it stays useful for you. As your mind gets used to going through a checklist, you might need to shake things up to challenge yourself further by revising the list or coming up with new points to challenge your thinking. After a while, you will become an idea-generating machine with enough writing ideas to keep you blogging and articles writing for months.